- Number Sense (882)
- Number Recognition (50)
Number Recognition Within 5
Number Recognition Within 10
Number Recognition Within 20
- Number Tracing (470)
Number Sequence
- Counting (240)
- Compare Numbers (65)
Order Numbers
- Skip Counting (6)
- Place Value (19)
- Addition (514)
Add With Pictures
- Addition Strategies (167)
- Compose And Decompose Numbers (107)
Count All To Add
Add Using A Number Line
Count On To Add
Add Three Whole Numbers
- Subtraction (253)
- Geometry (110)
- Data Handling (16)
- Measurement (50)
- Word Problems (98)
- Reading (2,762)
- Phonics (2,723)
- Alphabet (824)
- Letter Recognition (824)
Letter A
Letter B
Letter C
Letter D
Letter E
Letter F
Letter G
Letter H
Letter I
Letter J
Letter K
Letter L
Letter M
Letter N
Letter O
Letter P
Letter Q
Letter R
Letter S
Letter T
Letter U
Letter V
Letter W
Letter X
Letter Y
Letter Z
Lowercase Letters
Uppercase Letters
Matching Lowercase And Uppercase Letters
- Letter Sounds (442)
- Vowels (217)
- Short Vowel Sounds (209)
Short Vowel A Sound
Short Vowel E Sound
Short Vowel I Sound
Short Vowel O Sound
Short Vowel U Sound
- Vowel Teams (2)
- Blending (526)
(Materials data, as found in the file)
- - -
Calculated powder diffraction line list
Compound: ZnH2PtRh
Radiation: Cu Kα
Structure: the PBE geometry in Alexandria

Largest 10 diffraction maxima, sorted by position, 15 to 90 degrees two-theta:
d_spacing  2θ/deg  I_rel
5.387  16.45  11
2.931  30.50  28
2.694  33.26  12
2.323  38.76  100
2.154  41.95  46
1.759  51.98  9
1.682  54.55  13
1.523  60.82  15
1.379  67.97  12
1.274  74.50  29

Structural model:
Cell lengths 3.0458, 3.0458, 10.7745 Å; angles 90.00, 90.00, 90.00 degrees
Space group I4mm (No. 107)
One atom of each set of equivalent atoms:
1 Zn 0.0000 0.0000 0.0000
2 H 0.0000 0.5000 0.2353
3 Pt 0.0000 0.0000 0.3559
4 Rh 0.0000 0.0000 0.6423


The following is a theoretical powder XRD pattern of Sn4Sb3I. It was derived from a DFT-relaxed cell (GGA-PBE, Alexandria), using Cu Kα (weighted mean of Kα1 and Kα2).
No peak broadening, texture or thermal motion is included.

Largest 12 diffraction maxima, sorted by position, 2θ from 10° to 90°:
d/Å	two_theta	Rel. int.
3.198	27.90	52
3.146	28.37	100
2.243	40.21	77
2.230	40.44	18
2.219	40.66	19
1.829	49.85	20
1.823	50.04	21
1.573	58.70	12
1.425	65.48	17
1.411	66.24	25
1.290	73.40	11
1.286	73.70	13

Structural model:
Lattice parameters (Å, degrees): 4.437 7.798 7.798 110.22 90.00 90.00
Atoms (fractional coordinates):
Sn  0.000  0.000  0.000
Sn  0.000  0.458  0.458
Sn  0.500  0.464  0.992
Sn  0.500  0.992  0.464
Sb  0.000  0.229  0.729
Sb  0.000  0.729  0.229
Sb  0.500  0.229  0.229
I  0.500  0.729  0.729
- - -
- Consonant Digraphs (30)
Double Consonants
Rhyming Words
- Sight Words (752)
Segmenting Phonemes
Adding Deleting And Substituting Phonemes
- Reading Comprehension (31)
Story Elements
Authors Purpose
Compare And Contrast
Using Illustrations
Using Text Features
- Communication Skills (8)
- Handwriting (879)
- Letter Tracing (257)
Letter Tracing A
Letter Tracing B
Letter Tracing C
Letter Tracing D
Letter Tracing E
Letter Tracing F
Letter Tracing G
Letter Tracing H
Letter Tracing I
Letter Tracing J
Letter Tracing K
Letter Tracing L
Letter Tracing M
Letter Tracing N
Letter Tracing O
Letter Tracing P
Letter Tracing Q
Letter Tracing R
Letter Tracing S
Letter Tracing T
Letter Tracing U
Letter Tracing V
Letter Tracing W
Letter Tracing X
Letter Tracing Y
Letter Tracing Z
Word Tracing
- Cursive Writing (368)
- Cursive Alphabet (315)
Cursive Letter A
Cursive Letter B
Cursive Letter C
Cursive Letter D
Cursive Letter E
Cursive Letter F
Cursive Letter G
Cursive Letter H
Cursive Letter I
Cursive Letter J
Cursive Letter K
Cursive Letter L
Cursive Letter M
Cursive Letter N
Cursive Letter O
Cursive Letter P
Cursive Letter Q
Cursive Letter R
Cursive Letter S
Cursive Letter T
Cursive Letter U
Cursive Letter V
Cursive Letter W
Cursive Letter X
Cursive Letter Y
Cursive Letter Z
Cursive Words
Creative Writing
- Grammar (19)
- Vocabulary (127)
- Flashcards (14)
All Writing Resources
Cursive Writing: Letter D
Dive into letter D practice with our cursive writing printable, a perfect fit for handwriting practice.
Cursive Writing: Letter E
Elevate cursive skills and build vocabulary with our letter E words worksheet, ideal for handwriting practice.
Cursive Writing: Letter F
Our cursive letter F-themed worksheet is a fun way for kindergarteners to practice their handwriting and have fun!
Cursive Writing: Letter G
Kindergarten handwriting practice gets exciting with our engaging letter G words themed cursive writing worksheet.
Cursive Writing: Letter H
Hone writing letter H words in cursive with our specially designed handwriting practice worksheet for kindergarteners.
Cursive Writing: Letter I
Introduce letter I words and practice cursive writing with our engaging worksheet, perfect for handwriting practice.
Cursive Writing: Letter J
Explore letter J words and practice writing in cursive with our engaging and educational worksheet for kindergarteners.
Cursive Writing: Letter K
Let your kindergarteners have fun with cursive writing in our letter K words handwriting practice worksheet.
Cursive Writing: Letter L
Master cursive writing and learn letter L words with our fun and creative handwriting practice worksheet.
Cursive Writing: Letter M
Learn cursive writing with our awesome worksheet featuring letter M words, enhancing early handwriting skills.
Cursive Writing: Letter N
Fun and learning combine in our cursive writing worksheet featuring letter N words. Build vocabulary and motor skills!
Cursive Writing: Letter O
Here's some exciting cursive handwriting practice for students with our engaging letter O words worksheet.
Cursive Writing: Letter P
Engage students in cursive writing practice and boost vocabulary with our engaging letter P words worksheet.
Cursive Writing: Letter Q
Time to master the cursive! Explore letter Q words and boost motor skills with our exciting handwriting practice worksheet.
Cursive Writing: Letter R
Time for some interactive cursive handwriting practice. Explore letter R words with our fun writing practice worksheet.
Cursive Writing: Letter S
Captivate students with our letter S words cursive handwriting practice worksheet. Boost vocabulary and have some fun!
Cursive Writing: Letter T
Hone your handwriting skills with our letter T words cursive practice worksheet for students, blending fun with learning.
Cursive Writing: Letter U
Enhance cursive skills with our exciting letter U words worksheet featuring fun handwriting practice tasks.
Cursive Writing: Letter V
Focus on cursive writing practice with our handwriting enhancement worksheet featuring words beginning with the letter V.
Cursive Writing: Letter W
Master cursive handwriting and boost vocabulary with our engaging letter W words worksheet with fun tasks just for you.
Cursive Writing: Letter X
Practice cursive writing and boost vocabulary in our fun handwriting worksheet featuring words starting with the letter X.
Cursive Writing: Letter Y
Improve cursive skills with our fun-filled and engaging handwriting practice worksheet featuring letter Y words.
Cursive Writing: Letter Z
Ease into cursive writing and boost vocabulary with our exciting handwriting practice worksheet featuring letter Z words.
A Visit to My Backyard Worksheet
Say hello to your backyard. Learn how to observe and record your observations to enhance your skills. Start exploring this fun activity worksheet now!
I Spy with My Little Eye: Spot Friends in the Garden Worksheet
Explore the outdoors with this kindergarten worksheet! Sharpen your observation skills and have some fun while doing it!
Make Your Own To-Do List Worksheet
Create your own to-do list in this application worksheet! Organize tasks and develop planning skills. Start prioritizing and achieving goals today!
Time to Say Thank You Worksheet
Write a thank you note and express gratitude. Enhance appreciation and writing skills. Get started now!
Write a Thank You Note Worksheet
Have you thanked someone lately? Express gratitude with this worksheet. Start spreading appreciation today!
You Have a Friend in Me! Worksheet
Let's talk about friendship in this fun application-based worksheet! Get started now!
A Note Of Thanks
Strengthen your child's writing skills with our engaging worksheet. Let's learn how to write a thank you note.
Time To Thank Everyone
Learn to craft thank you notes with our enjoyable ELA worksheets, a fun and practical printable for kids.
Bunny S Rhyming Adventure
Engage with our fun ELA printable worksheets. Explore rhyming words and write your own fun bunny poem.